== What to do ==
It remains to quote only the last part of the data further down, starting with the line that has "0.486 0.750".

== Source ==
........
For LiThInI6, a DFT-relaxed cell (GGA-PBE, Alexandria) gives the theoretical powder X-ray diffraction pattern in this record (Cu Kα X-rays).

Cell and atoms:
Cell: 7.8385 7.8385 15.2884 Å, 90.00 90.00 120.00°
Space group P-31c (No. 163)
Symmetry-distinct sites (fractional):
Li (0.3333, 0.6667, 0.2500) x2
Th (0.3333, 0.6667, 0.7500) x2
In (0.0000, 0.0000, 0.0000) x2
I (0.0035, 0.3634, 0.1346) x12

The 8 most intense peaks (15 to 90 degrees two-theta), sorted by position:
17.47°, 5.076 Å, I = 35.3, (1 0 2)
25.54°, 3.488 Å, I = 100.0, (1 1 2)
32.73°, 2.736 Å, I = 67.7, (1 1 4)
36.96°, 2.432 Å, I = 16.3, (2 1 2)
39.84°, 2.263 Å, I = 40.6, (3 0 0)
42.31°, 2.136 Å, I = 26.2, (2 -1 6)
52.48°, 1.744 Å, I = 15.5, (4 -2 4)
63.74°, 1.460 Å, I = 17.2, (3 0 8)

~~~~~

Entry 1:
Structure and calculated powder X-ray diffraction pattern of Y2BeO4 (the GGA-PBE geometry in Alexandria; Cu Kα (λ = 1.5418 Å)).
Neutral-atom scattering factors, no anomalous dispersion.

```
Y2BeO4
1.0
10.478 0.000 0.000
0.000 3.564 0.000
0.000 0.000 10.009
Y Be O
8 4 16
direct
0.090 0.250 0.179 Y
0.117 0.250 0.588 Y
0.383 0.750 0.088 Y
0.410 0.750 0.679 Y
0.590 0.250 0.321 Y
0.617 0.250 0.912 Y
0.883 0.750 0.412 Y
0.910 0.750 0.821 Y
0.193 0.250 0.874 Be
0.307 0.750 0.374 Be
0.693 0.250 0.626 Be
0.807 0.750 0.126 Be
0.014 0.250 0.386 O
0.046 0.250 0.849 O
0.222 0.750 0.246 O
0.248 0.250 0.017 O
0.252 0.750 0.517 O
0.278 0.250 0.746 O
0.454 0.750 0.349 O
0.486 0.750 0.886 O
0.514 0.250 0.114 O
0.546 0.250 0.651 O
0.722 0.750 0.254 O
0.748 0.250 0.483 O
0.752 0.750 0.983 O
0.778 0.250 0.754 O
0.954 0.750 0.151 O
0.986 0.750 0.614 O
```

The 12 most intense peaks (2θ = 5–70°), most intense first:
2θ/deg, d (Å), I_rel
30.3, 2.947, 100
19.7, 4.516, 63
51.2, 1.783, 41
31.2, 2.864, 38
32.0, 2.798, 37
31.8, 2.814, 36
54.0, 1.699, 28
28.1, 3.179, 21
45.4, 1.998, 20
12.2, 7.237, 17
46.2, 1.966, 17
40.4, 2.233, 16

Entry 2:
Structure and calculated powder X-ray diffraction pattern of BeOs3 (the GGA-PBE geometry in Alexandria; Cu Kα (λ = 1.5418 Å)).
Neutral-atom scattering factors, no anomalous dispersion.

```
BeOs3
1.0
2.671 -4.723 0.000
2.671 4.723 0.000
0.000 0.000 4.235
Be Os
2 6
direct
0.079 0.921 0.750 Be
0.921 0.079 0.250 Be
0.072 0.395 0.750 Os
0.395 0.072 0.250 Os
0.420 0.580 0.250 Os
0.580 0.420 0.750 Os
0.605 0.928 0.750 Os
0.928 0.605 0.250 Os
```

The 12 most intense peaks (2θ = 5–70°), most intense first:
2θ/deg, d (Å), I_rel
44.5, 2.038, 100
43.9, 2.063, 48
42.7, 2.117, 37
19.1, 4.650, 34
38.7, 2.325, 22
28.3, 3.153, 20
39.5, 2.284, 20
28.5, 3.131, 20
69.3, 1.356, 19
38.1, 2.362, 15
59.0, 1.565, 13
58.6, 1.576, 10

Entry 3:
Structure and calculated powder X-ray diffraction pattern of BeOs3 (the GGA-PBE geometry in Alexandria; Cu Kα (λ = 1.5418 Å)).
Neutral-atom scattering factors, no anomalous dispersion.

```
BeOs3
1.0
2.785 0.000 0.000
0.000 2.785 0.000
0.000 0.000 6.533
Be Os
1 3
direct
0.000 0.000 0.000 Be
0.000 0.000 0.500 Os
0.500 0.500 0.215 Os
0.500 0.500 0.785 Os
```

The 12 most intense peaks (2θ = 5–70°), most intense first:
2θ/deg, d (Å), I_rel
42.7, 2.119, 100
46.1, 1.969, 46
35.0, 2.562, 42
63.7, 1.461, 19
41.5, 2.178, 16
67.2, 1.392, 15
13.6, 6.533, 14
32.1, 2.785, 12
56.3, 1.633, 7
27.3, 3.266, 6
54.4, 1.686, 4
48.3, 1.885, 2

Entry 4:
Structure and calculated powder X-ray diffraction pattern of Be3Os (the GGA-PBE geometry in Alexandria; Cu Kα (λ = 1.5418 Å)).
Neutral-atom scattering factors, no anomalous dispersion.

```
Be3Os
1.0
3.757 0.000 0.000
0.000 4.532 0.000
0.000 0.000 4.407
Be Os
6 2
direct
0.250 0.005 0.142 Be
0.250 0.495 0.142 Be
0.250 0.750 0.703 Be
0.750 0.250 0.297 Be
0.750 0.505 0.858 Be
0.750 0.995 0.858 Be
0.250 0.250 0.623 Os
0.750 0.750 0.377 Os
```

The 12 most intense peaks (2θ = 5–70°), most intense first:
2θ/deg, d (Å), I_rel
30.9, 2.892, 100
20.2, 4.407, 70
37.2, 2.418, 65
28.2, 3.159, 59
31.3, 2.859, 48
47.9, 1.901, 37
45.8, 1.982, 36
51.5, 1.776, 31
39.8, 2.266, 26
63.9, 1.456, 25
45.0, 2.015, 23
68.9, 1.363, 21
........

== Solution ==
0.486 0.750 0.886 O
0.514 0.250 0.114 O
0.546 0.250 0.651 O
0.722 0.750 0.254 O
0.748 0.250 0.483 O
0.752 0.750 0.983 O
0.778 0.250 0.754 O
0.954 0.750 0.151 O
0.986 0.750 0.614 O
```

The 12 most intense peaks (2θ = 5–70°), most intense first:
2θ/deg, d (Å), I_rel
30.3, 2.947, 100
19.7, 4.516, 63
51.2, 1.783, 41
31.2, 2.864, 38
32.0, 2.798, 37
31.8, 2.814, 36
54.0, 1.699, 28
28.1, 3.179, 21
45.4, 1.998, 20
12.2, 7.237, 17
46.2, 1.966, 17
40.4, 2.233, 16

Entry 2:
Structure and calculated powder X-ray diffraction pattern of BeOs3 (the GGA-PBE geometry in Alexandria; Cu Kα (λ = 1.5418 Å)).
Neutral-atom scattering factors, no anomalous dispersion.

```
BeOs3
1.0
2.671 -4.723 0.000
2.671 4.723 0.000
0.000 0.000 4.235
Be Os
2 6
direct
0.079 0.921 0.750 Be
0.921 0.079 0.250 Be
0.072 0.395 0.750 Os
0.395 0.072 0.250 Os
0.420 0.580 0.250 Os
0.580 0.420 0.750 Os
0.605 0.928 0.750 Os
0.928 0.605 0.250 Os
```

The 12 most intense peaks (2θ = 5–70°), most intense first:
2θ/deg, d (Å), I_rel
44.5, 2.038, 100
43.9, 2.063, 48
42.7, 2.117, 37
19.1, 4.650, 34
38.7, 2.325, 22
28.3, 3.153, 20
39.5, 2.284, 20
28.5, 3.131, 20
69.3, 1.356, 19
38.1, 2.362, 15
59.0, 1.565, 13
58.6, 1.576, 10

Entry 3:
Structure and calculated powder X-ray diffraction pattern of BeOs3 (the GGA-PBE geometry in Alexandria; Cu Kα (λ = 1.5418 Å)).
Neutral-atom scattering factors, no anomalous dispersion.

```
BeOs3
1.0
2.785 0.000 0.000
0.000 2.785 0.000
0.000 0.000 6.533
Be Os
1 3
direct
0.000 0.000 0.000 Be
0.000 0.000 0.500 Os
0.500 0.500 0.215 Os
0.500 0.500 0.785 Os
```

The 12 most intense peaks (2θ = 5–70°), most intense first:
2θ/deg, d (Å), I_rel
42.7, 2.119, 100
46.1, 1.969, 46
35.0, 2.562, 42
63.7, 1.461, 19
41.5, 2.178, 16
67.2, 1.392, 15
13.6, 6.533, 14
32.1, 2.785, 12
56.3, 1.633, 7
27.3, 3.266, 6
54.4, 1.686, 4
48.3, 1.885, 2

Entry 4:
Structure and calculated powder X-ray diffraction pattern of Be3Os (the GGA-PBE geometry in Alexandria; Cu Kα (λ = 1.5418 Å)).
Neutral-atom scattering factors, no anomalous dispersion.

```
Be3Os
1.0
3.757 0.000 0.000
0.000 4.532 0.000
0.000 0.000 4.407
Be Os
6 2
direct
0.250 0.005 0.142 Be
0.250 0.495 0.142 Be
0.250 0.750 0.703 Be
0.750 0.250 0.297 Be
0.750 0.505 0.858 Be
0.750 0.995 0.858 Be
0.250 0.250 0.623 Os
0.750 0.750 0.377 Os
```

The 12 most intense peaks (2θ = 5–70°), most intense first:
2θ/deg, d (Å), I_rel
30.9, 2.892, 100
20.2, 4.407, 70
37.2, 2.418, 65
28.2, 3.159, 59
31.3, 2.859, 48
47.9, 1.901, 37
45.8, 1.982, 36
51.5, 1.776, 31
39.8, 2.266, 26
63.9, 1.456, 25
45.0, 2.015, 23
68.9, 1.363, 21